## Contents
-- begin --
# 1
Calculated X-ray powder pattern
Compound: Sm2Al3Ge4
Radiation: λ = 1.5418 Å (Cu Kα)
Structure: the GGA-PBE geometry in Alexandria
No peak broadening, texture or thermal motion is included.

Structural model:
```
data_Sm2Al3Ge4
_space_group_name_H-M_alt 'C m c e'
_space_group_IT_number 64
_space_group_name_Hall '-C 2ac 2'
_cell_length_a 6.053
_cell_length_b 14.911
_cell_length_c 7.992
_cell_angle_alpha 90.00
_cell_angle_beta 90.00
_cell_angle_gamma 90.00
loop_
_atom_site_label
_atom_site_type_symbol
_atom_site_fract_x
_atom_site_fract_y
_atom_site_fract_z
Sm1 Sm 0.000 0.115 0.081
Al1 Al 0.000 0.000 0.500
Al2 Al 0.250 0.216 0.750
Ge1 Ge 0.000 0.186 0.447
Ge2 Ge 0.250 0.046 0.750
```

Largest 10 diffraction maxima, in order of rising 2θ, 10 to 80 degrees two-theta:
d 4.591, 19.33°, intensity 37; d 2.769, 32.33°, intensity 50; d 2.646, 33.88°, intensity 60; d 2.537, 35.38°, intensity 100; d 2.509, 35.79°, intensity 77; d 2.413, 37.27°, intensity 73; d 2.373, 37.91°, intensity 25; d 2.350, 38.31°, intensity 35; d 1.795, 50.86°, intensity 25; d 1.636, 56.23°, intensity 26



# 2
Calculated X-ray powder pattern
Compound: Cs6K7Rb16
Radiation: λ = 1.5418 Å (Cu Kα)
Structure: the GGA-PBE geometry in Alexandria
No peak broadening, texture or thermal motion is included.

Structural model:
```
data_Cs6K7Rb16
_space_group_name_H-M_alt 'F m -3 m'
_space_group_IT_number 225
_space_group_name_Hall '-F 4 2 3'
_cell_length_a 22.192
_cell_length_b 22.192
_cell_length_c 22.192
_cell_angle_alpha 90.00
_cell_angle_beta 90.00
_cell_angle_gamma 90.00
loop_
_atom_site_label
_atom_site_type_symbol
_atom_site_fract_x
_atom_site_fract_y
_atom_site_fract_z
Cs1 Cs 0.000 0.000 0.201
K1 K 0.000 0.000 0.500
K2 K 0.000 0.250 0.250
Rb1 Rb 0.118 0.118 0.382
Rb2 Rb 0.167 0.167 0.167
```

Largest 10 diffraction maxima, in order of rising 2θ, 10 to 80 degrees two-theta:
d 4.530, 19.60°, intensity 23; d 4.271, 20.80°, intensity 100; d 3.923, 22.67°, intensity 91; d 3.699, 24.06°, intensity 19; d 2.889, 30.95°, intensity 17; d 2.615, 34.29°, intensity 30; d 2.562, 35.02°, intensity 19; d 2.230, 40.44°, intensity 29; d 2.145, 42.12°, intensity 19; d 1.659, 55.39°, intensity 16



# 3
Calculated X-ray powder pattern
Compound: SrReBiO6
Radiation: λ = 1.5418 Å (Cu Kα)
Structure: the GGA-PBE geometry in Alexandria
No peak broadening, texture or thermal motion is included.

Structural model:
```
data_SrReBiO6
_space_group_name_H-M_alt 'P 3 1 2'
_space_group_IT_number 149
_space_group_name_Hall 'P 3 2'
_cell_length_a 5.6713
_cell_length_b 5.6713
_cell_length_c 5.1964
_cell_angle_alpha 90.00
_cell_angle_beta 90.00
_cell_angle_gamma 120.00
loop_
_atom_site_label
_atom_site_type_symbol
_atom_site_fract_x
_atom_site_fract_y
_atom_site_fract_z
Sr1 Sr 0.0000 0.0000 0.0000
Re1 Re 0.6667 0.3333 0.5000
Bi1 Bi 0.3333 0.6667 0.5000
O1 O 0.3915 0.0527 0.7096
```

Largest 10 diffraction maxima, in order of rising 2θ, 10 to 80 degrees two-theta:
d 5.196, 17.06°, intensity 52; d 4.912, 18.06°, intensity 18; d 3.569, 24.95°, intensity 100; d 2.836, 31.55°, intensity 63; d 2.489, 36.08°, intensity 43; d 2.220, 40.63°, intensity 27; d 1.916, 47.46°, intensity 58; d 1.748, 52.33°, intensity 27; d 1.637, 56.18°, intensity 19; d 1.385, 67.64°, intensity 15



# 4
Calculated X-ray powder pattern
Compound: Rb3AgSn4
Radiation: λ = 1.5418 Å (Cu Kα)
Structure: the GGA-PBE geometry in Alexandria
No peak broadening, texture or thermal motion is included.

Structural model:
```
data_Rb3AgSn4
_space_group_name_H-M_alt 'P m m n'
_space_group_IT_number 59
_cell_length_a 7.159
_cell_length_b 13.383
_cell_length_c 6.775
_cell_angle_alpha 90.00
_cell_angle_beta 90.00
_cell_angle_gamma 90.00
loop_
_space_group_symop_operation_xyz
'x,y,z'
'-x,-y,-z'
'-x+1/2,-y+1/2,z'
'x+1/2,y+1/2,-z'
'x+1/2,-y,-z'
'-x+1/2,y,z'
'-x,y+1/2,-z'
'x,-y+1/2,z'
loop_
_atom_site_label
_atom_site_type_symbol
_atom_site_fract_x
_atom_site_fract_y
_atom_site_fract_z
Rb1 Rb 0.250 0.006 0.172
Rb2 Rb 0.250 0.250 0.557
-- stop --

## Exercise
The reader should set down the calculation results earlier on unchanged.

## Solution
# 1
Calculated X-ray powder pattern
Compound: Sm2Al3Ge4
Radiation: λ = 1.5418 Å (Cu Kα)
Structure: the GGA-PBE geometry in Alexandria
No peak broadening, texture or thermal motion is included.

Structural model:
```
data_Sm2Al3Ge4
_space_group_name_H-M_alt 'C m c e'
_space_group_IT_number 64
_space_group_name_Hall '-C 2ac 2'
_cell_length_a 6.053
_cell_length_b 14.911
_cell_length_c 7.992
_cell_angle_alpha 90.00
_cell_angle_beta 90.00
_cell_angle_gamma 90.00
loop_
_atom_site_label
_atom_site_type_symbol
_atom_site_fract_x
_atom_site_fract_y
_atom_site_fract_z
Sm1 Sm 0.000 0.115 0.081
Al1 Al 0.000 0.000 0.500
Al2 Al 0.250 0.216 0.750
Ge1 Ge 0.000 0.186 0.447
Ge2 Ge 0.250 0.046 0.750
```

Largest 10 diffraction maxima, in order of rising 2θ, 10 to 80 degrees two-theta:
d 4.591, 19.33°, intensity 37; d 2.769, 32.33°, intensity 50; d 2.646, 33.88°, intensity 60; d 2.537, 35.38°, intensity 100; d 2.509, 35.79°, intensity 77; d 2.413, 37.27°, intensity 73; d 2.373, 37.91°, intensity 25; d 2.350, 38.31°, intensity 35; d 1.795, 50.86°, intensity 25; d 1.636, 56.23°, intensity 26



# 2
Calculated X-ray powder pattern
Compound: Cs6K7Rb16
Radiation: λ = 1.5418 Å (Cu Kα)
Structure: the GGA-PBE geometry in Alexandria
No peak broadening, texture or thermal motion is included.

Structural model:
```
data_Cs6K7Rb16
_space_group_name_H-M_alt 'F m -3 m'
_space_group_IT_number 225
_space_group_name_Hall '-F 4 2 3'
_cell_length_a 22.192
_cell_length_b 22.192
_cell_length_c 22.192
_cell_angle_alpha 90.00
_cell_angle_beta 90.00
_cell_angle_gamma 90.00
loop_
_atom_site_label
_atom_site_type_symbol
_atom_site_fract_x
_atom_site_fract_y
_atom_site_fract_z
Cs1 Cs 0.000 0.000 0.201
K1 K 0.000 0.000 0.500
K2 K 0.000 0.250 0.250
Rb1 Rb 0.118 0.118 0.382
Rb2 Rb 0.167 0.167 0.167
```

Largest 10 diffraction maxima, in order of rising 2θ, 10 to 80 degrees two-theta:
d 4.530, 19.60°, intensity 23; d 4.271, 20.80°, intensity 100; d 3.923, 22.67°, intensity 91; d 3.699, 24.06°, intensity 19; d 2.889, 30.95°, intensity 17; d 2.615, 34.29°, intensity 30; d 2.562, 35.02°, intensity 19; d 2.230, 40.44°, intensity 29; d 2.145, 42.12°, intensity 19; d 1.659, 55.39°, intensity 16



# 3
Calculated X-ray powder pattern
Compound: SrReBiO6
Radiation: λ = 1.5418 Å (Cu Kα)
Structure: the GGA-PBE geometry in Alexandria
No peak broadening, texture or thermal motion is included.

Structural model:
```
data_SrReBiO6
_space_group_name_H-M_alt 'P 3 1 2'
_space_group_IT_number 149
_space_group_name_Hall 'P 3 2'
_cell_length_a 5.6713
_cell_length_b 5.6713
_cell_length_c 5.1964
_cell_angle_alpha 90.00
_cell_angle_beta 90.00
_cell_angle_gamma 120.00
loop_
_atom_site_label
_atom_site_type_symbol
_atom_site_fract_x
_atom_site_fract_y
_atom_site_fract_z
Sr1 Sr 0.0000 0.0000 0.0000
Re1 Re 0.6667 0.3333 0.5000
Bi1 Bi 0.3333 0.6667 0.5000
O1 O 0.3915 0.0527 0.7096
```

Largest 10 diffraction maxima, in order of rising 2θ, 10 to 80 degrees two-theta:
d 5.196, 17.06°, intensity 52; d 4.912, 18.06°, intensity 18; d 3.569, 24.95°, intensity 100; d 2.836, 31.55°, intensity 63; d 2.489, 36.08°, intensity 43; d 2.220, 40.63°, intensity 27; d 1.916, 47.46°, intensity 58; d 1.748, 52.33°, intensity 27; d 1.637, 56.18°, intensity 19; d 1.385, 67.64°, intensity 15



# 4
Calculated X-ray powder pattern
Compound: Rb3AgSn4
Radiation: λ = 1.5418 Å (Cu Kα)
Structure: the GGA-PBE geometry in Alexandria
No peak broadening, texture or thermal motion is included.

Structural model:
```
data_Rb3AgSn4
_space_group_name_H-M_alt 'P m m n'
_space_group_IT_number 59
_cell_length_a 7.159
_cell_length_b 13.383
_cell_length_c 6.775
_cell_angle_alpha 90.00
_cell_angle_beta 90.00
_cell_angle_gamma 90.00
loop_
_space_group_symop_operation_xyz
'x,y,z'
'-x,-y,-z'
'-x+1/2,-y+1/2,z'
'x+1/2,y+1/2,-z'
'x+1/2,-y,-z'
'-x+1/2,y,z'
'-x,y+1/2,-z'
'x,-y+1/2,z'
loop_
_atom_site_label
_atom_site_type_symbol
_atom_site_fract_x
_atom_site_fract_y
_atom_site_fract_z
Rb1 Rb 0.250 0.006 0.172
Rb2 Rb 0.250 0.250 0.557